Dear Fellow Rotarians of District 6920,
Governor Elect Heather Kellen has asked me to Chair the Rotary Friendship Exchange Committee for this upcoming Rotary year.
Rotary.org states “Rotary Friendship Exchange is an international exchange program for Rotary members and friends that allow participants to take turns hosting one another in their homes and Clubs. The benefits of an exchange:
-Broaden international understanding
-Explore a profession or job in a different country
-Build enduring friendships
-Establish a foundation for peace and service
-Gain opportunities for active project involvement and support
-Learn about a region’s people, food, languages, customs, and history
-Find partners for grants”
And I will add, this will be a lot of fun!!!
So, we have sought for partners in an exchange, and we are delighted to announce that we partnering with Rotary District 4895, which is based in Buenos Aires, Argentina!
This District has a lot of experience with these Exchanges, hosting Districts from other Latin American, European, and North American countries. And they are very excited about hosting 6920!!!
## Here the article breaks off for records of crystals
/*
Entry 1:
Below is a relaxed structure of Na3TiGaSiP2O12, with properties calculated at the PBE-GGA level.

Unit cell a=8.818 b=8.818 c=22.115 alpha=89.99 beta=90.01 gamma=120.00
Sites, in units of the cell vectors:
Na (0.001, 0.998, 0.498)
Na (0.002, 0.999, 0.998)
Na (0.667, 0.330, 0.832)
Na (0.670, 0.333, 0.332)
Na (0.343, 0.673, 0.165)
Na (0.327, 0.657, 0.665)
Na (0.365, 0.365, 0.249)
Na (0.995, 0.630, 0.248)
Na (0.635, 0.635, 0.749)
Na (0.370, 0.005, 0.748)
Na (0.036, 0.700, 0.582)
Na (0.661, 0.965, 0.584)
Na (0.300, 0.964, 0.082)
Na (0.035, 0.339, 0.084)
Na (0.970, 0.670, 0.917)
Na (0.701, 0.032, 0.915)
Na (0.968, 0.299, 0.415)
Na (0.330, 0.030, 0.417)
Ti (0.007, 0.008, 0.648)
Ti (0.992, 0.993, 0.148)
Ti (0.662, 0.336, 0.981)
Ti (0.664, 0.338, 0.481)
Ti (0.325, 0.662, 0.315)
Ti (0.338, 0.675, 0.815)
Ga (0.991, 0.993, 0.351)
Ga (0.007, 0.009, 0.851)
Ga (0.670, 0.326, 0.684)
Ga (0.674, 0.330, 0.184)
Ga (0.331, 0.668, 0.017)
Ga (0.332, 0.669, 0.517)
Si (0.992, 0.283, 0.251)
Si (0.717, 0.008, 0.751)
Si (0.375, 0.043, 0.584)
Si (0.957, 0.625, 0.084)
Si (0.330, 0.962, 0.917)
Si (0.038, 0.670, 0.417)
P (0.294, 0.003, 0.250)
P (0.708, 0.711, 0.251)
P (0.289, 0.292, 0.751)
P (0.997, 0.706, 0.750)
P (0.959, 0.336, 0.583)
P (0.661, 0.619, 0.585)
P (0.664, 0.041, 0.083)
P (0.381, 0.339, 0.085)
P (0.619, 0.665, 0.917)
P (0.048, 0.376, 0.917)
P (0.624, 0.952, 0.417)
P (0.335, 0.381, 0.417)
O (0.213, 0.037, 0.307)
O (0.829, 0.789, 0.305)
O (0.971, 0.172, 0.312)
O (0.211, 0.171, 0.805)
O (0.963, 0.787, 0.807)
O (0.828, 0.029, 0.812)
O (0.802, 0.965, 0.691)
O (0.171, 0.200, 0.694)
O (0.035, 0.828, 0.694)
O (0.800, 0.829, 0.194)
O (0.035, 0.198, 0.191)
O (0.172, 0.965, 0.194)
O (0.878, 0.374, 0.638)
O (0.498, 0.127, 0.643)
O (0.637, 0.511, 0.642)
O (0.873, 0.502, 0.143)
O (0.626, 0.122, 0.138)
O (0.489, 0.363, 0.142)
O (0.467, 0.301, 0.029)
O (0.833, 0.530, 0.024)
O (0.701, 0.161, 0.026)
O (0.470, 0.167, 0.524)
O (0.699, 0.533, 0.529)
O (0.839, 0.299, 0.526)
O (0.536, 0.700, 0.972)
O (0.155, 0.455, 0.975)
O (0.294, 0.837, 0.976)
O (0.545, 0.845, 0.475)
O (0.300, 0.464, 0.472)
O (0.163, 0.706, 0.476)
O (0.134, 0.632, 0.358)
O (0.501, 0.865, 0.362)
O (0.365, 0.493, 0.359)
O (0.135, 0.499, 0.862)
O (0.368, 0.866, 0.858)
O (0.507, 0.635, 0.859)
O (0.029, 0.848, 0.408)
O (0.811, 0.982, 0.411)
O (0.172, 0.196, 0.411)
O (0.018, 0.189, 0.911)
O (0.152, 0.971, 0.908)
O (0.804, 0.828, 0.911)
O (0.968, 0.164, 0.590)
O (0.177, 0.017, 0.590)
O (0.831, 0.804, 0.589)
O (0.983, 0.823, 0.090)
O (0.836, 0.032, 0.090)
O (0.196, 0.169, 0.089)
O (0.683, 0.172, 0.745)
O (0.474, 0.315, 0.743)
O (0.830, 0.527, 0.742)
O (0.685, 0.526, 0.243)
O (0.828, 0.317, 0.245)
O (0.473, 0.170, 0.242)
O (0.643, 0.501, 0.923)
O (0.862, 0.361, 0.922)
O (0.513, 0.150, 0.924)
O (0.639, 0.138, 0.422)
O (0.499, 0.357, 0.423)
O (0.850, 0.487, 0.424)
O (0.355, 0.497, 0.076)
O (0.151, 0.644, 0.077)
O (0.502, 0.859, 0.076)
O (0.356, 0.849, 0.577)
O (0.503, 0.645, 0.576)
O (0.141, 0.498, 0.576)
*/
We will be traveling to Buenos Aires on March 19, or 20, 2023, depending on best prices for flights… Delta non stop leaves Atlanta at 8pm and arrives the next morning in Buenos Aires. And as of this writing, the best prices appear to be for a March 19 departure.
We will return on March 30, 2022.
And then, we will host the representatives from Buenos Aires from April 20 to 30, 2023.
If you are interested in traveling to Buenos Aires for this exciting adventure, please see the attached a brochure and application in this email. We ask you to fill out the application and return to me as soon as possible.
We have set a deadline of September 9, 2022, for receiving applications, but I encourage you to send these early, if you can… We must, by necessity, limit the group to 10 travelers, and I think the spots will go quickly!
Each traveler will be responsible for their own airfare (Current round trip on Delta is approximately $1150,) and incidentals while traveling. Our meals and lodging (in the homes of Rotarians) will mostly be covered by our hosts.
Although only a limited number will be able to actually travel for this Exchange, I hope that many of you will support those who travel, and also be willing to help us host the Rotarians from Argentina when they come next April.
Mark Twain is famously quoted:
“Travel is fatal to prejudice, bigotry, and narrow-mindedness, and many of our people need it sorely on these accounts…”
But he had never met a Rotarian!!! Let’s be a part of “Imagining” the difference we can make by fostering understanding and friendship across national boundaries.
Please email me your applications at 10kdiver@gmail.com
In Service above Self,
George Peake
Rotary Club of Perry Past President
Chairman, District 6920 Friendship Exchange
478 972 2971